Wearing #RedForEd T-shirts, several hundred Waterbury teachers showed their strength as a union, their dedication to their profession, and their value to the community they serve when they packed a Waterbury Board of Education meeting last night.
Their coordinated response—including chants of “No more zero!”—came in the wake of the Board’s recent decision to freeze teacher salaries.
“We have reached a troubling crossroads in education,” said Kevin Egan, president of the 1,600-strong Waterbury Teachers Association (WTA), which serves the city’s 20,000 students. He called the board’s refusal of a salary increase “demoralizing to our teachers,” especially in light of the fact that new central office positions have been created in recent months—and that next year, 28 central office administrators will make a combined $3.5 million.
One young teacher held up a handmade poster that read, “Why is there always enough $ for positions downtown?”
Compounding the problem of a zero-percent increase for teachers, health insurance plans continue to increase by 6 percent or more each year, effectively reducing Waterbury teachers’ take-home pay.

“Combined with the anticipated increase in the consumer price index of over 2.5%,” said Egan, “the result is a net loss in income and a slap across the face of every one of our hardworking professionals.”
Stacy Hittenmark, a teacher at Hopeville Elementary School, remarked that she and her colleagues are looking only for fair treatment.
Fellow Hopeville teacher Jason Mastrianni added, “We’re here to show the value in what we do, and we want to be taken a bit more seriously.”
********
1.
Computed, not measured: a cluster of 2 separate species, C27H36N3O in total in a non-equilibrium geometry, with ωB97M-V/def2-TZVPD.

- Charge: +1
- Highest occupied orbital energy: -0.3838 Ha
- Total energy: -1289.69894 hartree
- HOMO-LUMO gap: 5.44 eV

Element x y z (Å)
C (-2.536, -3.472, 2.939)
N (-2.179, -2.326, 2.138)
C (-2.461, -2.301, 0.802)
O (-2.992, -3.204, 0.160)
C (-1.997, -0.951, 0.260)
C (-3.137, -0.128, -0.343)
C (-3.769, -0.793, -1.538)
C (-5.127, -1.121, -1.523)
C (-5.687, -1.834, -2.584)
C (-4.901, -2.177, -3.693)
C (-3.559, -1.780, -3.737)
C (-2.996, -1.077, -2.667)
N (-1.413, -0.307, 1.440)
C (-0.858, 0.925, 1.346)
C (-0.303, 1.615, 2.418)
C (0.273, 2.888, 2.391)
C (0.869, 3.492, 3.555)
C (1.512, 4.764, 3.524)
C (2.097, 5.306, 4.667)
C (2.063, 4.610, 5.885)
C (1.447, 3.353, 5.944)
C (0.857, 2.810, 4.811)
C (-1.508, -1.135, 2.668)
C (-2.400, -0.474, 3.736)
C (-0.129, -1.548, 3.217)
H (-3.034, -4.210, 2.306)
H (-1.648, -3.935, 3.385)
H (-3.219, -3.184, 3.747)
H (-1.201, -1.128, -0.490)
H (-3.896, 0.022, 0.442)
H (-2.736, 0.856, -0.632)
H (-5.727, -0.844, -0.654)
H (-6.738, -2.123, -2.547)
H (-5.331, -2.752, -4.518)
H (-2.942, -2.017, -4.607)
H (-1.949, -0.765, -2.689)
H (-0.871, 1.380, 0.345)
H (-0.339, 1.061, 3.351)
H (0.337, 3.422, 1.442)
H (1.547, 5.313, 2.579)
H (2.597, 6.273, 4.624)
H (2.535, 5.024, 6.778)
H (1.430, 2.783, 6.871)
H (0.382, 1.831, 4.890)
H (-3.414, -0.345, 3.329)
H (-2.450, -1.113, 4.628)
H (-2.027, 0.510, 4.033)
H (0.381, -2.173, 2.470)
H (0.509, -0.688, 3.438)
H (-0.260, -2.134, 4.137)
C (1.489, 6.293, -1.092)
C (0.099, 5.709, -1.312)
C (-0.856, 6.657, -2.088)
C (-2.260, 6.353, -1.544)
C (-2.045, 5.609, -0.202)
N (-0.640, 5.334, -0.147)
H (1.935, 6.560, -2.057)
H (1.452, 7.193, -0.467)
H (2.153, 5.566, -0.613)
H (0.222, 4.816, -1.957)
H (-0.585, 7.696, -1.880)
H (-0.771, 6.499, -3.166)
H (-2.854, 7.258, -1.410)
H (-2.790, 5.710, -2.253)
H (-2.368, 6.250, 0.634)
H (-2.669, 4.701, -0.157)
H (-0.254, 4.762, 0.576)

***

2.
Computed, not measured: a cluster of 2 separate species, C16H15F2NO2 in total in a non-equilibrium geometry, with ωB97M-V/def2-TZVPD.

- Highest occupied orbital energy: -0.2241 Ha
- Total energy: -1023.40242 hartree
- HOMO-LUMO gap: 2.58 eV

Element x y z (Å)
C (-1.151, -0.666, -3.122)
C (-1.771, -1.606, -2.194)
C (-1.488, -3.030, -2.073)
N (-3.104, -1.338, -1.976)
O (-3.802, -2.251, -1.452)
O (-3.567, -0.215, -2.293)
H (-0.181, -1.044, -3.465)
H (-1.803, -0.533, -4.007)
H (-0.989, 0.336, -2.692)
H (-0.515, -3.274, -2.501)
H (-1.502, -3.386, -1.034)
H (-2.263, -3.599, -2.613)
F (2.633, -1.557, -1.826)
C (2.792, -1.201, -0.504)
C (3.873, -1.737, 0.188)
C (4.017, -1.376, 1.533)
C (3.108, -0.530, 2.144)
C (1.974, 0.005, 1.437)
C (1.083, 0.835, 2.169)
C (-0.001, 1.680, 1.803)
C (-0.546, 2.521, 2.835)
C (-1.622, 3.359, 2.608)
C (-2.217, 3.441, 1.343)
C (-1.670, 2.656, 0.330)
F (-2.232, 2.743, -0.920)
C (-0.598, 1.789, 0.507)
C (1.853, -0.343, 0.058)
H (4.572, -2.414, -0.300)
********
As a union, Mastrianni said, “We are united, and we have found our momentum.”
“When our union bands together, we have each other’s backs,” Hittenmark agreed.

“By the tens of thousands, teachers all across the United States—in places such as West Virginia, Colorado, Chicago and recently Los Angeles, have taken to the streets to advocate for their students and their profession,” said CEA President Jeff Leake, who attended the meeting and stood with Waterbury teachers. “This national outcry is grounded in concern for our students and a hope—indeed a plea—that our leaders will prioritize the education of our students and support those who teach them. Unfortunately, this struggle is no longer the news of another state or city; it is happening here, in Waterbury, and I am proud of our teachers for standing in solidarity and speaking with one voice.”
Teachers giving more, getting less
While the Board seemed to pay lip service to quality education for the city’s children, Egan noted that key to successful education outcomes is “a motivated professional staff that feels respected, valued, and well-compensated to meet the challenges that take place in the classroom every day.”
Those challenges include ever-increasing testing tied to grant funding and a lack of fundamental classroom resources—such as textbooks, copy paper, and curricula, leading Waterbury teachers to spend their own personal funds to provide essential items for their students. Also lacking, said Egan, is critical support for classroom safety and adequate levels of paraprofessional staff for special education students.
He also mentioned two controversial Board proposals to reduce teachers’ prep time.
CEA President Jeff Leake and Waterbury Teachers Association President Kevin Egan, who also serves at CEA treasurer, are pleased so many Waterbury teachers came out to advocate for their profession.
“Not only did you want to slash the overall weekly minutes,” he told Board members, “but in a more stunning proposal, and one of the most insulting contract proposals that I have personally ever seen, you wanted to reduce prep periods from five to four just for elementary teachers—I repeat, just for elementary teachers. I ask, how do you defend that? How is that showing respect for our dedicated, hardworking professionals?”
Egan—who received several standing ovations during his speech—called this combination of Board actions “a perfect storm, causing our teachers stress, anxiety, hopeless frustration, and eventual resignation. How does the Board expect to attract and retain teachers under these adverse conditions? A balance of new and experienced teachers is essential to ensure the long-term stability and success of this school district.”
“We are equal stakeholders under the law, and we will no longer permit our role in the educational process to be marginalized. Just like our colleagues across America, we are ready to take back our profession and stand up for our students.
“This board has the power to alter the course we are on and permanently change the direction of education in this city. Do it for our teachers. Do it for our students.
“We are watching.”
The Board did not directly address teachers’ concerns or respond to their requests, at which point most in the packed room walked out en masse.